[Request]
Please say how many lines of the rows further down hold the word "Tc1", as a bare number.
[Data]
-- begin --
# 1
# Nb2TlTcF, relaxed, DFT GGA-PBEsol
# Uncorrected formation energy = 34.8 kJ/mol of atoms
# Electronic total energy = -0.5242 Ry/atom
data_Nb2TlTcF
_chemical_formula_sum 'Nb2 Tl1 Tc1 F1'
_symmetry_space_group_name_H-M 'P 4/m m m'
_symmetry_Int_Tables_number 123
_symmetry_space_group_name_Hall '-P 4 2'
_cell_length_a 4.873
_cell_length_b 4.873
_cell_length_c 3.935
_cell_angle_alpha 90.00
_cell_angle_beta 90.00
_cell_angle_gamma 90.00
loop_
_atom_site_label
_atom_site_type_symbol
_atom_site_fract_x
_atom_site_fract_y
_atom_site_fract_z
Nb1 Nb 0.000 0.500 0.000
Tl1 Tl 0.000 0.000 0.500
Tc1 Tc 0.500 0.500 0.000
F1 F 0.500 0.500 0.500


# 2
# NbTe2F, relaxed, DFT GGA-PBEsol
# Uncorrected formation energy = -29.4 kJ/mol of atoms
# Electronic total energy = -0.3863 Ry/atom
data_NbTe2F
_chemical_formula_sum 'Nb4 Te8 F4'
_symmetry_space_group_name_H-M 'I -4 2 d'
_symmetry_Int_Tables_number 122
_symmetry_space_group_name_Hall 'I -4 2bw'
_cell_length_a 6.368
_cell_length_b 6.368
_cell_length_c 10.887
_cell_angle_alpha 90.00
_cell_angle_beta 90.00
_cell_angle_gamma 90.00
loop_
_atom_site_label
_atom_site_type_symbol
_atom_site_fract_x
_atom_site_fract_y
_atom_site_fract_z
Nb1 Nb 0.000 0.000 0.000
Te1 Te 0.249 0.750 0.125
F1 F 0.000 0.000 0.500


# 3
# Ti2NbF, relaxed, DFT GGA-PBEsol
# Uncorrected formation energy = 1.8 kJ/mol of atoms
# Electronic total energy = -0.5387 Ry/atom
data_Ti2NbF
_chemical_formula_sum 'Ti8 Nb4 F4'
_symmetry_space_group_name_H-M 'F m -3 m'
_symmetry_Int_Tables_number 225
_symmetry_space_group_name_Hall '-F 4 2 3'
_cell_length_a 6.210
_cell_length_b 6.210
_cell_length_c 6.210
_cell_angle_alpha 90.00
_cell_angle_beta 90.00
_cell_angle_gamma 90.00
loop_
_atom_site_label
_atom_site_type_symbol
_atom_site_fract_x
_atom_site_fract_y
_atom_site_fract_z
Ti1 Ti 0.250 0.250 0.250
Nb1 Nb 0.000 0.000 0.000
F1 F 0.000 0.000 0.500


# 4
# NbWF2, relaxed, DFT GGA-PBEsol
# Uncorrected formation energy = 26.4 kJ/mol of atoms
# Electronic total energy = -0.5033 Ry/atom
data_NbWF2
_chemical_formula_sum 'Nb4 W4 F8'
_symmetry_space_group_name_H-M 'F m -3 m'
_symmetry_Int_Tables_number 225
_symmetry_space_group_name_Hall '-F 4 2 3'
_cell_length_a 5.926
_cell_length_b 5.926
_cell_length_c 5.926
_cell_angle_alpha 90.00
_cell_angle_beta 90.00
_cell_angle_gamma 90.00
loop_
_atom_site_label
_atom_site_type_symbol
_atom_site_fract_x
_atom_site_fract_y
_atom_site_fract_z
Nb1 Nb 0.000 0.000 0.000
W1 W 0.000 0.000 0.500
F1 F 0.250 0.250 0.250


# 5
# NdF3, relaxed, DFT GGA-PBEsol
# Uncorrected formation energy = -399.8 kJ/mol of atoms
# Electronic total energy = -0.5057 Ry/atom
data_NdF3
_chemical_formula_sum 'Nd6 F18'
_symmetry_space_group_name_H-M 'P 63 c m'
_symmetry_Int_Tables_number 185
_symmetry_space_group_name_Hall 'P 6c -2'
_cell_length_a 6.9575
_cell_length_b 6.9575
_cell_length_c 7.1644
_cell_angle_alpha 90.00
_cell_angle_beta 90.00
_cell_angle_gamma 120.00
loop_
_atom_site_label
_atom_site_type_symbol
_atom_site_fract_x
_atom_site_fract_y
_atom_site_fract_z
Nd1 Nd 0.0000 0.3261 0.0000
F1 F 0.0000 0.0000 0.4253
F2 F 0.0000 0.2760 0.6685
F3 F 0.0000 0.3786 0.3309
F4 F 0.3333 0.6667 0.0473


# 6
# NdOF, relaxed, DFT GGA-PBEsol
# Uncorrected formation energy = -368.4 kJ/mol of atoms
# Electronic total energy = -0.5830 Ry/atom
data_NdOF
_chemical_formula_sum 'Nd6 O6 F6'
_symmetry_space_group_name_H-M 'R -3 m'
_symmetry_Int_Tables_number 166
_symmetry_space_group_name_Hall '-R 3 2"'
_cell_length_a 3.9348
_cell_length_b 3.9348
_cell_length_c 19.5966
_cell_angle_alpha 90.00
_cell_angle_beta 90.00
_cell_angle_gamma 120.00
loop_
_atom_site_label
_atom_site_type_symbol
_atom_site_fract_x
_atom_site_fract_y
_atom_site_fract_z
Nd1 Nd 0.0000 0.0000 0.2419
O1 O 0.0000 0.0000 0.1219
F1 F 0.0000 0.0000 0.3701


# 7
# NdOF, relaxed, DFT GGA-PBEsol
# Uncorrected formation energy = -363.6 kJ/mol of atoms
# Electronic total energy = -0.5794 Ry/atom
data_NdOF
_chemical_formula_sum 'Nd4 O4 F4'
_symmetry_space_group_name_H-M 'F -4 3 m'
-- stop --
[Here it is]
2